By Aditi Dahagam, Staff Reporter
Due to the coronavirus pandemic, clubs have adapted to the school closure by using video call meetings in order to continue with projects and events.
Key Club
Key Club focuses on community service, in which students volunteer at facilities such as the Wayne Art Center and the YMCA. Although several events have been cancelled or become virtual due to social distancing, the coronavirus pandemic has created new opportunities to commit to community service, such as thank you cards to teachers. Senior and co-chair of major charities Alexis Malamas explained that the club wants to thank teachers for all their efforts in transitioning between school lessons to virtual learning by sending them Thank You emails.
“Teachers are doing so much for students during this difficult time, so I wanted a way to give back to teachers, as well as an opportunity for Key Club members to get hours,” Malamas said.
In addition to sending emails to teachers, Key Club has been using Microsoft Teams to update members about virtual service opportunities. The club has also taken previous events and virtualized them such as peer tutoring via an online app or creating videos to send to children. Senior and club president Emily Ford believes that club members should have a safe way to continue volunteering so they can help others during the pandemic.
“We want to keep our members safe during this time, so we stuck to safe activities like online tutoring, sharing videos of members reading a book or helping the community by cleaning up trash,” Ford said. “Our members have a passion for volunteering and being stuck at home won’t stop us from helping others. At a time when we are all new to this situation, it’s important to keep supporting our community and peers as best we can.”
Health Occupations Students of America (HOSA) Club
Since HOSA, a club for aspiring medical students, began this year, sophomore president Liz Zhang wanted to create structure in the club through raising funds to attend future competitions and holding executive board elections. Through Zoom meetings, Zhang said that she hopes to keep club members engaged by playing games and organizing team building activities.
As a medical-related club, HOSA has been planning to get involved in helping those fighting COVID-19. Many organizations that the club was looking into aiding require monetary or equipment donations, which some of the club members might not have access to, so Zhang is planning for the club to write cards to healthcare workers.
“I think that showing gratitude towards (healthcare workers) who are sacrificing their lives to keep everyone safe is just a little something we can all easily do to brighten up their day. I was also thinking of creating a compilation of videos of us expressing our thanks or love to senior citizens and sending it to different retirement homes or hospitals,” sophomore president Liz Zhang said.
“We played a Scattergories game online, and I thought that this was a really great way to get everybody familiar with each other,” Zhang said. “It’s good to get everybody to be able to work with each other because a lot of the competition categories are teamwork events, and it’s important to build skills of teamwork.”
Brighten A Day Club
Brighten A Day Club focuses on cheering up children at hospitals and seniors at nursing homes by sending them cards and other gifts. During school meetings, the club members make cards and plan cardmaking events in the community. Currently, sophomore and club president Hita Gupta is encouraging members to make more cards and share information about activities they can do to help those in nursing homes through Microsoft Teams meetings. Gupta finds benefits in video call meetings but still prefers in person meetings.
== These data records were left in the page by mistake ==
+++
90
Properties=species:S:1:pos:R:3:forces:R:3:mulliken_charge:R:1 method="wB97M-V/def2-TZVPD" homo_lumo_gap_ev=5.710 total_energy_ha=-4448.1247 total_charge=-2 e_homo_ev=-1.604
La -0.677 -0.502 0.442 -0.573 0.166 -0.233 0.872
C -4.720 -0.115 -0.399 0.036 -0.007 -0.006 -0.734
C -4.197 -0.645 -1.723 -0.018 0.041 0.021 -0.850
N -2.882 -0.116 -2.106 0.081 -0.002 -0.093 1.480
C -2.393 -0.881 -3.255 0.051 -0.016 -0.018 -1.319
C -0.956 -0.573 -3.649 -0.073 -0.022 0.019 -1.072
C -2.938 1.317 -2.409 0.061 0.021 0.049 -2.098
C -1.762 2.098 -1.829 -0.117 -0.138 -0.046 -0.284
N -1.732 1.919 -0.391 0.323 -0.285 0.338 1.532
C -2.100 2.890 0.436 -0.087 0.039 -0.067 -0.202
C -2.378 2.528 1.787 0.001 -0.078 0.018 -0.317
F -2.225 1.214 2.098 -0.007 0.034 0.038 0.143
C -2.745 3.399 2.775 -0.021 -0.013 0.011 0.323
F -2.972 2.924 4.016 0.008 0.018 -0.032 -0.352
C -2.888 4.759 2.532 0.002 -0.010 -0.012 -0.916
C -2.627 5.158 1.235 -0.007 0.023 -0.003 0.303
F -2.728 6.474 0.927 0.001 -0.046 0.011 -0.372
C -2.252 4.293 0.230 0.002 0.032 -0.058 0.266
F -1.981 4.855 -0.981 -0.019 0.000 0.059 -0.394
H -5.659 -0.620 -0.160 -0.013 0.012 0.005 0.463
H -4.913 0.959 -0.413 0.018 0.008 0.002 0.286
H -4.023 -0.333 0.411 -0.022 -0.020 -0.003 -0.055
H -4.926 -0.442 -2.530 -0.004 -0.015 0.005 0.243
H -4.087 -1.727 -1.640 0.013 0.002 -0.003 0.432
H -3.055 -0.710 -4.125 -0.004 -0.005 -0.003 0.359
H -2.468 -1.936 -2.992 -0.004 0.012 0.013 0.536
H -0.845 0.428 -4.070 0.015 0.012 0.008 0.328
H -0.625 -1.291 -4.402 0.004 0.007 -0.011 0.548
H -0.278 -0.658 -2.795 0.026 -0.004 -0.013 0.004
H -3.844 1.742 -1.974 -0.044 -0.022 -0.032 0.413
H -2.999 1.476 -3.499 -0.005 0.000 0.001 0.344
H -1.861 3.135 -2.151 0.079 -0.023 -0.021 0.429
H -0.828 1.720 -2.259 -0.173 -0.080 -0.011 -0.284
H -3.182 5.454 3.302 0.002 0.004 0.000 0.495
S -4.594 -7.317 2.298 -0.124 -0.027 -0.020 -0.383
C -3.915 -5.855 1.863 0.306 0.007 0.069 0.114
S -3.138 -5.566 0.363 -0.084 0.051 -0.008 -0.148
C -2.642 -3.904 0.620 0.000 -0.059 -0.005 -0.255
C -2.958 -3.386 1.831 0.014 -0.062 0.019 0.216
S -2.650 -1.790 2.423 0.087 0.241 -0.072 -0.549
S -3.807 -4.496 2.898 -0.061 0.048 -0.059 -0.157
S -1.831 -3.115 -0.701 0.182 0.217 0.074 -0.463
C 1.740 3.178 3.358 0.023 0.006 -0.016 -1.223
C 2.804 2.473 3.898 -0.002 0.001 0.022 -0.545
C 2.825 1.100 3.778 0.016 0.038 0.011 -1.099
C 1.780 0.431 3.125 0.010 0.035 0.027 0.719
N 0.794 1.132 2.534 -0.022 -0.188 -0.141 0.644
C 0.781 2.458 2.672 0.018 0.003 -0.141 -0.077
C 1.717 -1.050 3.067 0.044 -0.017 -0.006 1.345
C 2.479 -1.799 3.975 0.003 -0.002 0.013 -0.879
C 2.457 -3.181 3.935 -0.011 0.022 -0.016 -0.789
C 1.659 -3.816 2.989 -0.002 0.016 0.002 -1.002
C 0.883 -3.059 2.124 -0.009 -0.079 0.019 0.011
C 0.876 -1.655 2.122 0.195 -0.167 0.152 -0.231
H 1.664 4.254 3.433 -0.007 0.002 -0.007 0.471
H 3.610 2.988 4.406 0.005 -0.002 -0.006 0.367
H 3.658 0.538 4.174 -0.016 -0.017 -0.002 0.354
H -0.040 2.982 2.197 -0.006 -0.005 -0.040 0.323
H 3.070 -1.312 4.744 0.009 -0.009 -0.008 0.296
+++
“We can do video calls so even if we’re not close to each other, we can still see each other’s faces. But then again, there’s nothing like face to face interaction,” Gupta said. “There weren’t a lot of people at the meeting, and I think it’s also about the fact that it’s unfamiliar. We didn’t get to hear a lot of voices which was one thing that I missed.”
One of the main differences Gupta noticed with virtual meetings is the increased flexibility in scheduling because meetings can be held during more parts of the day. Gupta describes that another change in the switch from school meetings to online ones is the atmosphere.
Computer Science Club
Before the school closed, Computer Science club discussed members’ personal projects, helped people with computer science homework and gave presentations on new topics during meetings, as well as attended hackathons and other competitions. Junior co-president Eric Zhao explains that there are many pros and cons to video call meetings on Microsoft Teams.
“Screen sharing works well enough, but sometimes it’s better to get an in person demo when another member is showing us something cool that they developed in their free time,” Zhao said. “But it’s actually easier to get people’s attention. You don’t have to shout across the room or anything when you’re doing a group activity.”
Less people showed up to the first online meeting compared to the meetings at school but Zhao explains that the people who were present were attentive and participated more. Zhao believes that it’s important for clubs to continue communicating during the pandemic because the transition back to meetings at school will be easier.
“These clubs are formed to group people who have common interests and get them into doing things together. Even though we’re not meeting in person, I think it’s important to do this especially since when we will be back in school, those clubs will continue as normal,” Zhao said.
**Data records from another source follow:**
********
Run 1
Entry from the Open Molecules 2025 dataset: a 2-piece molecular cluster, C4H9N overall (ωB97M-V/def2-TZVPD).

**Highest occupied orbital energy**: -9.458 eV
**2S+1**: 1
**LUMO energy**: 1.20 eV

Atoms and positions in Å:
C: -1.77 3.78 2.08
N: -1.04 4.11 3.06
C: 0.29 3.59 3.25
H: -2.63 4.41 1.91
H: -1.55 3.12 1.19
H: 0.74 3.87 4.25
H: 0.96 3.56 2.39
H: 0.22 2.52 3.46
C: 0.97 -5.33 -4.68
C: 1.36 -6.04 -3.62
H: 1.07 -5.48 -5.75
H: 0.26 -4.51 -4.59
H: 2.23 -6.70 -3.66
H: 1.14 -5.55 -2.66

Listed below, in e, are the natural (NBO) charges computed for each atom: atom 1 (C): -0.057, atom 2 (N): -0.390, atom 3 (C): -0.474, atom 4 (H): 0.167, atom 5 (H): 0.136, atom 6 (H): 0.213, atom 7 (H): 0.206, atom 8 (H): 0.199, atom 9 (C): -0.364, atom 10 (C): -0.405, atom 11 (H): 0.192, atom 12 (H): 0.181, atom 13 (H): 0.201, atom 14 (H): 0.196

=====

Run 2
Entry from the Open Molecules 2025 dataset: a 2-piece molecular cluster, C4H9N overall (ωB97M-V/def2-TZVPD).

**Highest occupied orbital energy**: -8.330 eV
**2S+1**: 1
**LUMO energy**: 1.16 eV

Atoms and positions in Å:
C: -0.74 -2.03 0.27
N: -0.17 -0.69 0.43
C: 1.04 -0.44 -0.41
C: 1.27 -0.66 0.83
H: -0.01 -2.79 -0.03
H: -1.20 -2.33 1.22
H: -1.53 -1.98 -0.48
H: 1.26 -0.11 -1.41
H: 1.84 -0.66 1.74
C: -0.35 2.36 -0.43
H: 0.48 3.04 -0.61
H: -0.55 1.76 -1.32
H: -1.25 2.92 -0.17
H: -0.12 1.68 0.39

Listed below, in e, are the natural (NBO) charges computed for each atom: atom 1 (C): -0.431, atom 2 (N): -0.450, atom 3 (C): -0.069, atom 4 (C): -0.073, atom 5 (H): 0.170, atom 6 (H): 0.196, atom 7 (H): 0.196, atom 8 (H): 0.234, atom 9 (H): 0.230, atom 10 (C): -0.853, atom 11 (H): 0.204, atom 12 (H): 0.203, atom 13 (H): 0.212, atom 14 (H): 0.231

=====

What should be chosen as the most stable of them? Choose run 1.

=====

Run 1
Entry from the Open Molecules 2025 dataset: one molecule with the formula C4H9N (ωB97M-V/def2-TZVPD).

**Highest occupied orbital energy**: -6.960 eV
**2S+1**: 1
**LUMO energy**: 1.00 eV

Atoms and positions in Å:
C: 0.99 -0.97 0.93
C: 0.48 0.23 0.43
N: 1.10 1.37 0.88
C: -0.40 0.44 -0.79
C: -1.41 -0.70 -0.95
H: 0.28 -1.61 1.38
H: 2.05 -1.23 0.99
H: 1.85 1.24 1.55
H: 0.84 2.36 0.89
H: 0.26 0.45 -1.73
H: -0.87 1.37 -0.82
H: -0.98 -1.72 -1.08
H: -2.05 -0.90 0.00
H: -2.15 -0.33 -1.67

Listed below, in e, are the natural (NBO) charges computed for each atom: atom 1 (C): -0.699, atom 2 (C): 0.297, atom 3 (N): -0.810, atom 4 (C): -0.448, atom 5 (C): -0.620, atom 6 (H): 0.209, atom 7 (H): 0.213, atom 8 (H): 0.383, atom 9 (H): 0.396, atom 10 (H): 0.228, atom 11 (H): 0.202, atom 12 (H): 0.234, atom 13 (H): 0.202, atom 14 (H): 0.213

=====

Run 2
Entry from the Open Molecules 2025 dataset: one molecule with the formula C4H9N (ωB97M-V/def2-TZVPD).

**Highest occupied orbital energy**: -8.220 eV
**2S+1**: 1
**LUMO energy**: 1.20 eV

Atoms and positions in Å:
C: -1.45 -2.05 0.34
C: -0.82 -0.96 -0.07
N: 0.47 -0.56 0.34
C: 1.02 0.56 -0.44
C: 0.45 1.89 0.03
H: -2.50 -2.22 0.17
H: -0.94 -2.80 0.93
********
In addition to online meetings, Computer Science Club will be holding their second annual Codefest from April 22 to June 1. Students can work individually or in teams of up to four to code any project they want including a website, game, or app. The projects will be judged by Mr. Sharick and the top three projects will receive monetary prizes. Zhao believes that Codefest provides students the opportunity to experience what coding is really like.
“We want people to do group projects because in the real computer science world, everything is in teams or collaboration,” Zhao said. “We’re hoping that with more time on their hands, people will code more.”

Aditi Dahagam can be reached at [email protected].